Limb darkening is evident in this image of the Sun viewed through a simple Coronado Personal Solar Telescope (PST). The PST is a Hydrogen-alpha-filtered refractor with a 40mm aperture and a 400mm focal length that can only be used for solar observing.
For many, astronomy is a late-night pursuit. We anxiously wait for Sol to set and twilight to fade before we begin to enjoy the sky. But by doing so, we are missing an amazing matinee every day — one performed by the Sun.
Our star is the perfect target for observers. No chart is needed to find it. You can’t beat it for convenience. And light pollution doesn’t even enter into the equation. With the Sun, there’s no need to pull an all-nighter. Best of all, it is always changing. While most distant deep-sky objects appear static over the course of a human lifespan, the Sun changes every day. That makes it exciting to watch!
But in order to enjoy the show, you need to come prepared. The Sun is the only celestial object that can easily do you harm. The same solar rays that cause sunburn will also burn your eyes’ retinas — at least, without proper precautions. We hear these warnings from our parents when we’re young and in the news before every solar eclipse: Never look directly at the Sun. So, in order to safely practice solar viewing, you’ll need the right equipment.
A Coronado PST, a common Hɑ telescope, is attached to an alt-azimuth GoTo mount in this setup — enabling quick and easy solar observing.
Most experienced Sun-watchers prefer specially designed solar filters that reduce the Sun’s energy to harmless levels. Filters come in two main categories: First are white-light filters. These block 99.999 percent of sunlight to allow us to see the Sun’s visible surface, or photosphere, revealing wonderful views of constantly evolving sunspots. Second are Hydrogen-alpha (Hα) filters. These block all wavelengths of sunlight except for one — the wavelength emitted by hot hydrogen atoms. Hα filters reveal details on the Sun that are invisible using white-light filters, including flamelike prominences and intricate bright threads called solar plages, which are usually found near sunspots.
White-light filters (find some HERE)
Known as “aperture filters,” white-light filters fit over the front of a telescope in order to reduce the Sun’s energy to a safe level before it enters the optical system, including your eyes. They are commonly made from glass or a polymer material, such as Mylar, and fit securely on a telescope or binoculars (although you will need two filters for the latter, one per barrel).
White-light filters should only be purchased from a reputable source. Some of the most popular include Astrozap (, Baader Planetarium (, Celestron (, Explore Scientific (, Kendrick Astro Instruments (, Meade Instruments (, Orion Telescopes (, and Thousand Oaks Optical (
........
No. 1
C23H32HfN as an isolated structure, computed with ωB97M-V/def2-TZVPD.

```
57
Properties=species:S:1:pos:R:3:forces:R:3
C 1.48276 -1.79899 0.43154 -0.26 -0.55 -0.88
C 2.01538 -1.19760 -0.75384 -0.60 -0.39 0.13
C 1.03630 -1.30377 -1.79252 0.16 -0.74 0.57
C -0.09343 -2.01793 -1.26744 0.91 -0.83 0.47
C 0.17770 -2.31052 0.12067 0.79 -0.47 -0.90
Hf -0.02034 0.02987 -0.04327 -0.80 2.50 -2.01
C -3.29323 1.40698 -1.45133 3.98 1.36 1.00
C -2.86566 0.98962 -0.19984 -0.26 0.62 -1.66
H -2.71979 1.71930 0.60225 -0.68 0.13 -0.15
C -2.29661 -0.32731 0.07597 0.15 -0.59 -0.15
H -2.72989 -1.09064 -0.58247 0.25 0.16 0.34
H -2.44352 -0.64343 1.12093 -0.04 -0.01 -0.08
C -3.27763 2.95749 -1.66218 -0.76 -0.28 0.17
H -2.64740 3.49546 -0.93027 -0.57 -0.46 0.04
H -2.83188 3.23692 -2.63053 -0.48 -0.28 0.15
H -4.29924 3.36580 -1.59785 0.39 0.07 -0.21
C -2.82234 0.61245 -2.69963 -0.78 -0.19 0.30
H -1.83812 0.09868 -2.56994 -0.67 0.07 0.39
H -3.59447 -0.14123 -2.95606 0.64 0.26 -0.31
H -2.60984 1.28970 -3.54766 -0.67 -0.32 0.35
C 3.41095 -0.69738 -0.88028 0.40 0.37 -0.06
H 3.69829 -0.12048 0.00893 0.06 -0.13 -0.21
H 4.13077 -1.52298 -0.98340 -0.30 0.07 0.06
H 3.52931 -0.03951 -1.74646 -0.02 -0.25 0.18
C 1.22132 -0.86096 -3.20616 -0.04 0.35 -0.27
H 1.64014 0.15220 -3.23808 -0.01 -0.25 -0.10
H 1.90886 -1.53270 -3.74417 -0.25 0.16 0.18
H 0.26722 -0.82794 -3.74783 0.26 -0.10 0.10
C -1.17810 -2.64616 -2.08185 -0.43 -0.01 -0.14
H -1.26447 -2.17597 -3.06811 -0.01 -0.13 0.24
H -0.96809 -3.71615 -2.23994 0.06 0.34 0.06
H -2.15470 -2.57962 -1.59086 0.20 -0.10 -0.18
C -0.62444 -3.19232 1.01926 -0.33 -0.08 0.21
H -1.65958 -3.28914 0.67436 0.21 0.03 0.07
H -0.18596 -4.20140 1.05897 -0.10 0.27 -0.03
H -0.64972 -2.80946 2.04898 -0.01 -0.12 -0.18
C 2.27202 -2.12475 1.65560 0.16 0.18 0.36
H 1.63471 -2.19874 2.54420 0.11 -0.05 -0.11
H 2.78843 -3.09144 1.53687 -0.21 0.29 0.00
H 3.04048 -1.36678 1.84820 -0.12 -0.16 0.01
C 1.00016 1.85588 -1.15826 -2.70 3.85 0.79
C 0.16419 2.95879 -1.87212 -0.98 -4.34 0.04
C 2.30497 2.07547 -1.58887 1.19 0.12 -1.19
C 0.29383 2.85551 -3.25820 -0.22 1.00 -0.32
H -0.78253 3.50564 -1.63939 0.75 -1.32 0.88
C 2.60419 2.53217 -2.90826 -0.08 0.76 0.15
H 3.05180 1.97924 -0.77264 0.04 -0.50 -1.31
C 1.57342 2.76502 -3.85245 -1.10 -0.48 1.20
H -0.72340 2.87669 -3.74524 1.55 0.88 -0.32
H 3.60745 2.82411 -3.18039 0.26 -0.32 0.09
H 1.60353 3.01509 -4.92065 0.74 -0.51 0.52
C -0.00674 0.17551 4.65287 0.03 -0.19 0.71
C 0.09753 0.24519 3.21765 -0.10 0.56 -2.64
N 0.13116 0.35049 2.05360 0.25 -0.33 4.29
H 0.87717 -0.33824 5.06841 -0.32 0.21 -0.20
H -0.91132 -0.39575 4.92964 0.36 0.25 -0.19
H -0.07099 1.18883 5.08413 0.03 -0.36 -0.27
```
Forces are in eV/Å.

Summary:
- Gap between HOMO and LUMO: 6.353 eV
- E_HOMO: -0.3760 hartree
- Total charge: +1
- E_tot: -27156.9167 eV



No. 2
C23H32IIrNO2S2Si2 as an isolated structure, computed with ωB97M-V/def2-TZVPD.

```
64
Properties=species:S:1:pos:R:3:forces:R:3
Ir 0.19318 -1.14099 0.35122 0.04 0.12 0.22
........
White-light filters, like this one from Thousand Oaks Optical, block all wavelengths of light equally, dimming the Sun enough to reveal sunspots
You can purchase a premade filter mounted in a cell and sized to fit over the front of your specific telescope, or you may prefer to buy a sheet of polymer filter material and make your own. To make a homemade filter cell, look for Baader AstroSolar Safety Film 5.0, then visit Baader’s website for detailed instructions on how to construct the cell. Be sure to purchase a filter specified as neutral density (ND) 5.0, not ND 3.8. The latter is designed for photography and is not safe for visual observations.
Before using the filter, make sure to check that it’s still performing properly. While some filters are made to resist scratches, it’s better to be safe then sorry. To check whether your filter is safe, simply turn on your phone’s flashlight and shine it directly behind the filter. If you only see a dim shine, you should be safe. But if you see particularly bright spots or streaks, your filter is damaged and should not be used.
These images, taken only 5 minutes apart, show the same part of the Sun’s disk on September 22, 2009. The photographer took the left shot through a visible-light filter and the right shot through a Hydrogen-alpha (Hɑ) filter. Note the additional features visible through the Hɑ filter.
Depending on filter coating, the Sun will appear a different color. Most glass filters create a yellow-orange tint, while many polymer filters provide a white image with a hint of blue.
White-light solar filters let you confirm that the Sun is alive and well, as groups of sunspots trek across its photosphere. These dark blemishes mark regions where disturbances in the Sun’s powerful magnetic field hamper the convective flow of energy from deep within. As a result, that area of the Sun’s surface cools slightly compared to its surroundings. The temperature of the photosphere is 9,900 degrees Fahrenheit (5,500 degrees Celsius), while sunspots are cooler, ranging between about 4,900 F and 7,600 F (2,700 C and 4,200 C). So, sunspots have roughly the same temperatures as the surfaces of the giant, puffy stars Betelgeuse and Antares. But because sunspots are cooler and dimmer than their surroundings, they appear dark through our filters. If you could surgically remove a sunspot and place it alone in the sky, it would appear crimson in color and shine brighter than the Full Moon.
This illustration highlights some of the Sun’s most striking features, many of which you can easily view using the right equipment.
Sunspots can range in size from hundreds to thousands of miles in diameter. Some are large enough to be seen through binoculars — and even with the unaided eye, using proper filtered glasses — but most require a telescope. At magnifications of 50x or more, sunspots reveal two sections. The darker, cooler central portion is called the umbra, while the surrounding lighter ring is called the penumbra. The Sun’s magnetic field lines are perpendicular to the surface within the umbra, while they are angled more obliquely within the penumbra.
Sunspots appear in rapidly evolving groups that typically consist of one or two larger spots surrounded by several smaller members. These groups can transform within hours or days. It’s fun to sketch or photograph their appearances every few days over a month or more. You’ll be amazed at how much they change in size and shape. By tracking them for several months, you’ll also notice that spots at different latitudes on the Sun move at different speeds. The Sun’s equator rotates once every 25 days, while the north and south polar regions take approximately 36 days to complete a full rotation.
A flare extends from the surface of the Sun on August 15, 2016, captured here using an Hɑ filter.
You might even begin to notice bright patches near sunspots. Those are called faculae, Latin for “little torch.” Faculae occur above the photosphere and are best seen along the edge, or limb, of the Sun, where their contrast is enhanced thanks to an effect called limb darkening. Limb darkening is the result of us seeing cooler, dimmer gas in the outer layers of the Sun as we look along the solar limb, instead of the hotter gas that we see deeper inside the Sun when we look directly at its central region.
The Sun’s photosphere may appear smooth at first, but up close, we see it is comprised of countless tiny grains called granules. Each granule, measuring a little larger than Texas, is a convective cell of heated plasma. As the plasma rises to the top of the photosphere, it cools. This causes it to sink back into the photosphere, where it’s reheated and recirculated, like a pot of boiling water. Because solar granules appear so tiny from our distant vantage point, resolving them requires at least a 3-inch telescope, 150x magnification, and very steady seeing conditions.
The author captured this white-light image of the Sun during the 2017 Great American Eclipse, revealing a striking silhouette of the Moon’s limb.
And, of course, white-light filters are ideal for viewing the partial phases of solar eclipses. The countdown is on for the next Great (North) American Eclipse on April 8, 2024, and people are already making plans. One thing’s for sure: Solar filters are on everyone’s list.
As the Moon slowly encroaches on the Sun during an eclipse, use a white-light filter and carefully view the edge of the Moon at 100x power or more. You will immediately notice its craggy profile, much like a sawtooth. Those are the many hills, valleys, and craters that lie just at the brink of visibility bordering between the near side and the far side of our satellite. Watch as those lunar “teeth” cut across the Sun’s disk, cleaving through sunspot groups visible at the time. If you happen to have access to a detailed map of the Moon’s exact orientation at the time of the eclipse, also try to identify which lunar features are silhouetted. One source of such maps is the Virtual Moon Atlas, which is free to download from — P.H.
Hydrogen-alpha filters and scopes (find some HERE)
Back in the day, viewing the Sun through a special Hα filter was something exotic, available only to institutions and wealthy amateurs. Over time, however, their prices have dropped, and they are now surprisingly affordable. Brands including Coronado (, DayStar ( and Lunt ( sell Hα filters for amateur instruments, as well as dedicated Hα telescopes.
The Sun displays a slew of stunning features when viewed through a Hɑ filter, as seen here.
That’s fortunate, since this wavelength is where the action is. Even when the Sun appears barren through white-light filters, Hα filters give us a ringside view of the Sun’s magnificent chromosphere, the layer directly above the photosphere. Like sunspots, Hα features come and go depending on solar activity.
The most spectacular Hα features are prominences, flamelike protrusions that gracefully reach out from the solar limb. Even the smallest of these prominences would tower over our entire planet. Some extend from the edge of the solar limb like a grove of trees along a distant horizon. Others hook and loop away from the disk, forming giant arcs. When observing the Sun, keep tabs on these features throughout the day and you will see that their structures can dramatically evolve.
If a prominence appears along the trailing edge of the Sun, solar rotation can carry it onto and across the disk. As a prominence moves across the face of the Sun, it appears dark thanks to its contrast against the brighter chromosphere. This creates what looks like a shadowy solar serpent known as a filament.
Massive amounts of solar gas and plasma are blasted high above the surface when the Sun’s complex web of magnetic field lines violently interact, creating arced prominences like those seen here.
Also keep an eye out for bright patches across the photosphere called plages, which occur where a magnetic disturbance has broken through the photosphere. Plages often coincide with sunspot groups, although they may also appear alone.
The most dramatic and rarest Hα events, however, are solar flares. These sudden, violent eruptions occur in and around sunspot groups, resembling rivers of white-hot lava flowing between the spots. Flares usually last between five and 10 minutes, although some may last for several hours. Despite their brief existence, individual solar flares release enough energy to power the United States for roughly 100,000 years. They also release a flood of charged particles, and if the aim is just right, these particles will be drawn to Earth’s two magnetic poles. As they collide with our upper atmosphere, the air molecules glow, creating the beautiful aurora known as the northern and southern lights.
Sunspot 2645 is seen here in Hɑ on April 1, 2017, through the Kitt Peak National Observatory Visitor Center Telescope. Earth is superimposed on the image for scale.
Finally, while all these Hα solar features come and go, spicules are always visible. These jets of plasma jut upward from the chromosphere all around the edge of the solar disk. At lower magnifications, they’re reminiscent of peach fuzz. But increasing to 150x power or more will resolve individual spicules, which allows you to watch them change before your eyes.
If viewing all these amazing solar features interests you, make sure to pay extra attention to your Hα filter’s bandwidth — the range of light frequencies that can pass through the filter largely unimpeded. A bandwidth of 3 to 4 angstroms (Å) will reveal prominences, but you will need a filter with a bandwidth no more than 1 Å to spot features like filaments.
Sunspot AR2781 popped up during Solar Cycle #25. In this Hɑ shot from November 4, 2020, the sunspot is swinging around the Sun’s eastern limb.
Two terrific sources for the latest news on solar activity are and Both show real-time images of the Sun, the former in white light and the latter in Hα. Be sure to bookmark them.
A stellar lineup of varied solar sights awaits us every sunny day. So, make sure to take some time and explore our wondrous host star; you’ll quickly become a Sun-worshipper. Just don’t forget your sunblock.
Source: Astronomy Magazine